Excerpt >
=====
A) DFT (PBE) results for SrP3Cl after structural relaxation.

Its space group is Pm-3m (221).

```
SrP3Cl
1.0
5.746 0.000 0.000
0.000 5.746 0.000
0.000 0.000 5.746
Sr P Cl
1 3 1
Direct
0.000 0.000 0.000
0.000 0.000 0.500
0.000 0.500 0.000
0.500 0.000 0.000
0.500 0.500 0.500
```

B) DFT (PBE) results for SrP3Cl after structural relaxation.

Its space group is Pm-3m (221).

```
SrP3Cl
1.0
4.813 0.000 0.000
0.000 4.813 0.000
0.000 0.000 4.813
Sr P Cl
1 3 1
Direct
0.000 0.000 0.000
0.000 0.500 0.500
0.500 0.000 0.500
0.500 0.500 0.000
0.500 0.500 0.500
```

Of them, B) has the highest stability.

A) DFT (PBE) results for SrTcPCl2 after structural relaxation.

Its space group is P4/mmm (123).

```
SrTcPCl2
1.0
5.000 0.000 0.000
0.000 5.000 0.000
0.000 0.000 4.602
Sr Tc P Cl
1 1 1 2
Direct
0.000 0.000 0.000
0.500 0.500 0.500
0.500 0.500 0.000
0.000 0.500 0.500
0.500 0.000 0.500
```

B) DFT (PBE) results for SrTcPCl2 after structural relaxation.

Its space group is P4/mmm (123).

```
SrTcPCl2
1.0
5.351 0.000 0.000
0.000 5.351 0.000
0.000 0.000 6.192
Sr Tc P Cl
1 1 1 2
Direct
0.000 0.000 0.000
0.500 0.500 0.500
0.000 0.000 0.500
0.000 0.500 0.000
0.500 0.000 0.000
```

Of them, A) has the highest stability.

A) DFT (PBE) results for SrTiP2Cl after structural relaxation.

Its space group is P4/mmm (123).

```
SrTiP2Cl
1.0
4.743 0.000 0.000
0.000 4.743 0.000
0.000 0.000 5.058
Sr Ti P Cl
1 1 2 1
Direct
0.000 0.000 0.000
0.500 0.500 0.500
0.000 0.500 0.500
0.500 0.000 0.500
0.500 0.500 0.000
```

B) DFT (PBE) results for SrTiP2Cl after structural relaxation.

Its space group is P4/mmm (123).

```
SrTiP2Cl
1.0
5.426 0.000 0.000
0.000 5.426 0.000
0.000 0.000 5.235
Sr Ti P Cl
1 1 2 1
Direct
0.000 0.000 0.000
0.500 0.500 0.500
0.000 0.500 0.000
0.500 0.000 0.000
0.000 0.000 0.500
```

Of them, A) has the highest stability.

A) DFT (PBE) results for SrTiPCl2 after structural relaxation.

Its space group is P4/mmm (123).

```
SrTiPCl2
1.0
5.320 0.000 0.000
0.000 5.320 0.000
0.000 0.000 6.078
Sr Ti P Cl
1 1 1 2
Direct
0.000 0.000 0.000
0.500 0.500 0.500
0.000 0.000 0.500
0.000 0.500 0.000
0.500 0.000 0.000
```

B) DFT (PBE) results for SrTiPCl2 after structural relaxation.

Its space group is P4/mmm (123).

```
SrTiPCl2
1.0
4.842 0.000 0.000
0.000 4.842 0.000
0.000 0.000 4.943
Sr Ti P Cl
1 1 1 2
Direct
0.000 0.000 0.000
0.500 0.500 0.500
0.500 0.500 0.000
0.000 0.500 0.500
0.500 0.000 0.500
```

Of them, B) has the highest stability.

A) DFT (PBE) results for SrVP2Cl after structural relaxation.

Its space group is P4/mmm (123).

```
SrVP2Cl
1.0
4.579 0.000 0.000
0.000 4.579 0.000
0.000 0.000 5.168
Sr V P Cl
1 1 2 1
Direct
0.000 0.000 0.000
0.500 0.500 0.500
0.000 0.500 0.500
0.500 0.000 0.500
0.500 0.500 0.000
```

B) DFT (PBE) results for SrVP2Cl after structural relaxation.

Its space group is P4/mmm (123).

```
SrVP2Cl
1.0
5.473 0.000 0.000
0.000 5.473 0.000
0.000 0.000 5.267
Sr V P Cl
1 1 2 1
Direct
0.000 0.000 0.000
0.500 0.500 0.500
0.000 0.500 0.000
0.500 0.000 0.000
0.000 0.000 0.500
```

Of them, A) has the highest stability.

A) DFT (PBE) results for SrYPCl2 after structural relaxation.

Its space group is P4/mmm (123).

```
SrYPCl2
1.0
5.162 0.000 0.000
0.000 5.162 0.000
0.000 0.000 6.146
Sr Y P Cl
1 1 1 2
Direct
0.000 0.000 0.000
0.500 0.500 0.500
0.000 0.000 0.500
0.000 0.500 0.000
0.500 0.000 0.000
```

B) DFT (PBE) results for SrYPCl2 after structural relaxation.

Its space group is P4/mmm (123).

```
SrYPCl2
1.0
5.185 0.000 0.000
0.000 5.185 0.000
0.000 0.000 5.534
Sr Y P Cl
1 1 1 2
Direct
0.000 0.000 0.000
0.500 0.500 0.500
0.500 0.500 0.000
0.000 0.500 0.500
0.500 0.000 0.500
```

Of them, B) has the highest stability.


A plane-wave DFT calculation with PBE-GGA was carried out for a geometry-optimized Ca3Ga2Au structure.

Geometry as extended XYZ:
```
6
Lattice="3.687 0.000 0.000 0.000 4.882 -1.616 0.000 0.006 8.199" Properties=species:S:1:pos:R:3 pbc="T T T"
Ca 1.843 2.441 -0.808
Ca 1.843 4.098 4.196
Ca 1.843 0.790 2.387
=====
Wanted >
Your job: print all of the calculation results above character by character.
Reply >
A) DFT (PBE) results for SrP3Cl after structural relaxation.

Its space group is Pm-3m (221).

```
SrP3Cl
1.0
5.746 0.000 0.000
0.000 5.746 0.000
0.000 0.000 5.746
Sr P Cl
1 3 1
Direct
0.000 0.000 0.000
0.000 0.000 0.500
0.000 0.500 0.000
0.500 0.000 0.000
0.500 0.500 0.500
```

B) DFT (PBE) results for SrP3Cl after structural relaxation.

Its space group is Pm-3m (221).

```
SrP3Cl
1.0
4.813 0.000 0.000
0.000 4.813 0.000
0.000 0.000 4.813
Sr P Cl
1 3 1
Direct
0.000 0.000 0.000
0.000 0.500 0.500
0.500 0.000 0.500
0.500 0.500 0.000
0.500 0.500 0.500
```

Of them, B) has the highest stability.

A) DFT (PBE) results for SrTcPCl2 after structural relaxation.

Its space group is P4/mmm (123).

```
SrTcPCl2
1.0
5.000 0.000 0.000
0.000 5.000 0.000
0.000 0.000 4.602
Sr Tc P Cl
1 1 1 2
Direct
0.000 0.000 0.000
0.500 0.500 0.500
0.500 0.500 0.000
0.000 0.500 0.500
0.500 0.000 0.500
```

B) DFT (PBE) results for SrTcPCl2 after structural relaxation.

Its space group is P4/mmm (123).

```
SrTcPCl2
1.0
5.351 0.000 0.000
0.000 5.351 0.000
0.000 0.000 6.192
Sr Tc P Cl
1 1 1 2
Direct
0.000 0.000 0.000
0.500 0.500 0.500
0.000 0.000 0.500
0.000 0.500 0.000
0.500 0.000 0.000
```

Of them, A) has the highest stability.

A) DFT (PBE) results for SrTiP2Cl after structural relaxation.

Its space group is P4/mmm (123).

```
SrTiP2Cl
1.0
4.743 0.000 0.000
0.000 4.743 0.000
0.000 0.000 5.058
Sr Ti P Cl
1 1 2 1
Direct
0.000 0.000 0.000
0.500 0.500 0.500
0.000 0.500 0.500
0.500 0.000 0.500
0.500 0.500 0.000
```

B) DFT (PBE) results for SrTiP2Cl after structural relaxation.

Its space group is P4/mmm (123).

```
SrTiP2Cl
1.0
5.426 0.000 0.000
0.000 5.426 0.000
0.000 0.000 5.235
Sr Ti P Cl
1 1 2 1
Direct
0.000 0.000 0.000
0.500 0.500 0.500
0.000 0.500 0.000
0.500 0.000 0.000
0.000 0.000 0.500
```

Of them, A) has the highest stability.

A) DFT (PBE) results for SrTiPCl2 after structural relaxation.

Its space group is P4/mmm (123).

```
SrTiPCl2
1.0
5.320 0.000 0.000
0.000 5.320 0.000
0.000 0.000 6.078
Sr Ti P Cl
1 1 1 2
Direct
0.000 0.000 0.000
0.500 0.500 0.500
0.000 0.000 0.500
0.000 0.500 0.000
0.500 0.000 0.000
```

B) DFT (PBE) results for SrTiPCl2 after structural relaxation.

Its space group is P4/mmm (123).

```
SrTiPCl2
1.0
4.842 0.000 0.000
0.000 4.842 0.000
0.000 0.000 4.943
Sr Ti P Cl
1 1 1 2
Direct
0.000 0.000 0.000
0.500 0.500 0.500
0.500 0.500 0.000
0.000 0.500 0.500
0.500 0.000 0.500
```

Of them, B) has the highest stability.

A) DFT (PBE) results for SrVP2Cl after structural relaxation.

Its space group is P4/mmm (123).

```
SrVP2Cl
1.0
4.579 0.000 0.000
0.000 4.579 0.000
0.000 0.000 5.168
Sr V P Cl
1 1 2 1
Direct
0.000 0.000 0.000
0.500 0.500 0.500
0.000 0.500 0.500
0.500 0.000 0.500
0.500 0.500 0.000
```

B) DFT (PBE) results for SrVP2Cl after structural relaxation.

Its space group is P4/mmm (123).

```
SrVP2Cl
1.0
5.473 0.000 0.000
0.000 5.473 0.000
0.000 0.000 5.267
Sr V P Cl
1 1 2 1
Direct
0.000 0.000 0.000
0.500 0.500 0.500
0.000 0.500 0.000
0.500 0.000 0.000
0.000 0.000 0.500
```

Of them, A) has the highest stability.

A) DFT (PBE) results for SrYPCl2 after structural relaxation.

Its space group is P4/mmm (123).

```
SrYPCl2
1.0
5.162 0.000 0.000
0.000 5.162 0.000
0.000 0.000 6.146
Sr Y P Cl
1 1 1 2
Direct
0.000 0.000 0.000
0.500 0.500 0.500
0.000 0.000 0.500
0.000 0.500 0.000
0.500 0.000 0.000
```

B) DFT (PBE) results for SrYPCl2 after structural relaxation.

Its space group is P4/mmm (123).

```
SrYPCl2
1.0
5.185 0.000 0.000
0.000 5.185 0.000
0.000 0.000 5.534
Sr Y P Cl
1 1 1 2
Direct
0.000 0.000 0.000
0.500 0.500 0.500
0.500 0.500 0.000
0.000 0.500 0.500
0.500 0.000 0.500
```

Of them, B) has the highest stability.


A plane-wave DFT calculation with PBE-GGA was carried out for a geometry-optimized Ca3Ga2Au structure.

Geometry as extended XYZ:
```
6
Lattice="3.687 0.000 0.000 0.000 4.882 -1.616 0.000 0.006 8.199" Properties=species:S:1:pos:R:3 pbc="T T T"
Ca 1.843 2.441 -0.808
Ca 1.843 4.098 4.196
Ca 1.843 0.790 2.387